**Material**
'''
[1]
This entry pairs a crystal structure of Rb2Mo2H4C4O15 with its theoretical powder diffraction line list. Radiation: Cu Kα. Structure: the GGA+U geometry in the Materials Project.
No peak broadening, texture or thermal motion is included.

Atomic structure:
Unit cell a=7.809 b=14.533 c=7.030 alpha=90.00 beta=94.48 gamma=90.00
Space group P2_1/c (No. 14)
One atom of each set of equivalent atoms:
1 Rb 0.192 0.137 0.373 [4 per cell]
2 Mo 0.106 0.607 0.616 [4 per cell]
3 H 0.260 0.675 0.274 [4 per cell]
4 H 0.290 0.565 0.274 [4 per cell]
5 C 0.457 0.676 0.752 [4 per cell]
6 C 0.480 0.570 0.740 [4 per cell]
7 O 0.000 0.000 0.000 [2 per cell]
8 O 0.030 0.195 0.969 [4 per cell]
9 O 0.057 0.590 0.850 [4 per cell]
10 O 0.218 0.616 0.321 [4 per cell]
11 O 0.302 0.704 0.691 [4 per cell]
12 O 0.345 0.527 0.667 [4 per cell]
13 O 0.382 0.034 0.700 [4 per cell]
14 O 0.426 0.227 0.685 [4 per cell]

The 10 most intense peaks (2θ from 5° to 70°), sorted by position:
- hkl 1 0 0, 2θ 11.4, d = 7.786 Å, rel. 83
- hkl 1 1 -1, 2θ 17.5, d = 5.081 Å, rel. 100
- hkl 1 2 -1, 2θ 20.4, d = 4.347 Å, rel. 71
- hkl 1 2 1, 2θ 21.5, d = 4.128 Å, rel. 82
- hkl 0 4 0, 2θ 24.5, d = 3.633 Å, rel. 43
- hkl 2 1 -1, 2θ 26.0, d = 3.423 Å, rel. 48
- hkl 0 1 2, 2θ 26.2, d = 3.407 Å, rel. 45
- hkl 1 4 0, 2θ 27.1, d = 3.293 Å, rel. 60
- hkl 2 2 1, 2θ 29.8, d = 3.001 Å, rel. 94
- hkl 1 2 -3, 2θ 41.4, d = 2.181 Å, rel. 64

=====

[2]
This entry pairs a crystal structure of SnMoH6C2O4 with its theoretical powder diffraction line list. Radiation: Cu Kα. Structure: the GGA+U geometry in the Materials Project.
No peak broadening, texture or thermal motion is included.

Atomic structure:
Unit cell a=13.732 b=7.444 c=7.381 alpha=90.00 beta=90.00 gamma=90.00
Space group Pnma (No. 62)
One atom of each set of equivalent atoms:
1 Sn 0.127 0.250 0.226 [4 per cell]
2 Mo 0.114 0.750 0.065 [4 per cell]
3 H 0.018 0.750 0.534 [4 per cell]
4 H 0.084 0.129 0.559 [8 per cell]
5 H 0.188 0.250 0.884 [4 per cell]
6 H 0.225 0.629 0.521 [8 per cell]
7 C 0.061 0.250 0.486 [4 per cell]
8 C 0.230 0.250 0.011 [4 per cell]
9 O 0.004 0.750 0.933 [4 per cell]
10 O 0.118 0.552 0.206 [8 per cell]
11 O 0.217 0.750 0.920 [4 per cell]

The 10 most intense peaks (2θ from 5° to 70°), sorted by position:
- hkl 1 0 1, 2θ 13.6, d = 6.501 Å, rel. 43
- hkl 0 1 1, 2θ 16.9, d = 5.241 Å, rel. 22
- hkl 2 0 1, 2θ 17.6, d = 5.027 Å, rel. 100
- hkl 0 2 0, 2θ 23.9, d = 3.722 Å, rel. 45
- hkl 4 0 0, 2θ 26.0, d = 3.433 Å, rel. 24
- hkl 2 2 1, 2θ 29.9, d = 2.991 Å, rel. 26
- hkl 2 1 2, 2θ 30.0, d = 2.979 Å, rel. 42
- hkl 2 3 2, 2θ 46.0, d = 1.972 Å, rel. 19
- hkl 4 1 3, 2θ 47.1, d = 1.931 Å, rel. 21
- hkl 6 1 2, 2θ 48.3, d = 1.883 Å, rel. 20

=====

[3]
This entry pairs a crystal structure of NiH3C5NO6 with its theoretical powder diffraction line list. Radiation: Cu Kα. Structure: the GGA+U geometry in the Materials Project.
No peak broadening, texture or thermal motion is included.

Atomic structure:
Unit cell a=13.571 b=7.836 c=8.613 alpha=90.00 beta=121.60 gamma=90.00
Space group Cc (No. 9)
One atom of each set of equivalent atoms:
1 Ni 0.000 0.250 0.000 [4 per cell]
2 H 0.049 0.049 0.748 [4 per cell]
3 H 0.251 0.350 0.252 [4 per cell]
4 H 0.450 0.050 0.750 [4 per cell]
5 C 0.021 0.480 0.750 [4 per cell]
6 C 0.183 0.236 0.580 [4 per cell]
7 C 0.251 0.209 0.250 [4 per cell]
8 C 0.295 0.240 0.920 [4 per cell]
9 C 0.479 0.479 0.750 [4 per cell]
10 N 0.239 0.238 0.750 [4 per cell]
11 O 0.060 0.345 0.846 [4 per cell]
12 O 0.061 0.465 0.156 [4 per cell]
13 O 0.155 0.130 0.154 [4 per cell]
14 O 0.345 0.129 0.345 [4 per cell]
15 O 0.439 0.343 0.655 [4 per cell]
16 O 0.439 0.466 0.345 [4 per cell]

The 10 most intense peaks (2θ from 5° to 70°), sorted by position:
- hkl 1 1 -1, 2θ 15.3, d = 5.776 Å, rel. 100
- hkl 1 1 1, 2θ 20.8, d = 4.274 Å, rel. 55
- hkl 0 2 0, 2θ 22.7, d = 3.918 Å, rel. 29
- hkl 3 1 0, 2θ 25.8, d = 3.456 Å, rel. 23
- hkl 2 2 -2, 2θ 31.0, d = 2.888 Å, rel. 23
- hkl 3 1 -3, 2θ 33.5, d = 2.678 Å, rel. 28
'''

**Wanted**
The reader should give back the rows further above from the first line to the one with "0.156 [4" with every line break kept.

**Here it is**
[1]
This entry pairs a crystal structure of Rb2Mo2H4C4O15 with its theoretical powder diffraction line list. Radiation: Cu Kα. Structure: the GGA+U geometry in the Materials Project.
No peak broadening, texture or thermal motion is included.

Atomic structure:
Unit cell a=7.809 b=14.533 c=7.030 alpha=90.00 beta=94.48 gamma=90.00
Space group P2_1/c (No. 14)
One atom of each set of equivalent atoms:
1 Rb 0.192 0.137 0.373 [4 per cell]
2 Mo 0.106 0.607 0.616 [4 per cell]
3 H 0.260 0.675 0.274 [4 per cell]
4 H 0.290 0.565 0.274 [4 per cell]
5 C 0.457 0.676 0.752 [4 per cell]
6 C 0.480 0.570 0.740 [4 per cell]
7 O 0.000 0.000 0.000 [2 per cell]
8 O 0.030 0.195 0.969 [4 per cell]
9 O 0.057 0.590 0.850 [4 per cell]
10 O 0.218 0.616 0.321 [4 per cell]
11 O 0.302 0.704 0.691 [4 per cell]
12 O 0.345 0.527 0.667 [4 per cell]
13 O 0.382 0.034 0.700 [4 per cell]
14 O 0.426 0.227 0.685 [4 per cell]

The 10 most intense peaks (2θ from 5° to 70°), sorted by position:
- hkl 1 0 0, 2θ 11.4, d = 7.786 Å, rel. 83
- hkl 1 1 -1, 2θ 17.5, d = 5.081 Å, rel. 100
- hkl 1 2 -1, 2θ 20.4, d = 4.347 Å, rel. 71
- hkl 1 2 1, 2θ 21.5, d = 4.128 Å, rel. 82
- hkl 0 4 0, 2θ 24.5, d = 3.633 Å, rel. 43
- hkl 2 1 -1, 2θ 26.0, d = 3.423 Å, rel. 48
- hkl 0 1 2, 2θ 26.2, d = 3.407 Å, rel. 45
- hkl 1 4 0, 2θ 27.1, d = 3.293 Å, rel. 60
- hkl 2 2 1, 2θ 29.8, d = 3.001 Å, rel. 94
- hkl 1 2 -3, 2θ 41.4, d = 2.181 Å, rel. 64

=====

[2]
This entry pairs a crystal structure of SnMoH6C2O4 with its theoretical powder diffraction line list. Radiation: Cu Kα. Structure: the GGA+U geometry in the Materials Project.
No peak broadening, texture or thermal motion is included.

Atomic structure:
Unit cell a=13.732 b=7.444 c=7.381 alpha=90.00 beta=90.00 gamma=90.00
Space group Pnma (No. 62)
One atom of each set of equivalent atoms:
1 Sn 0.127 0.250 0.226 [4 per cell]
2 Mo 0.114 0.750 0.065 [4 per cell]
3 H 0.018 0.750 0.534 [4 per cell]
4 H 0.084 0.129 0.559 [8 per cell]
5 H 0.188 0.250 0.884 [4 per cell]
6 H 0.225 0.629 0.521 [8 per cell]
7 C 0.061 0.250 0.486 [4 per cell]
8 C 0.230 0.250 0.011 [4 per cell]
9 O 0.004 0.750 0.933 [4 per cell]
10 O 0.118 0.552 0.206 [8 per cell]
11 O 0.217 0.750 0.920 [4 per cell]

The 10 most intense peaks (2θ from 5° to 70°), sorted by position:
- hkl 1 0 1, 2θ 13.6, d = 6.501 Å, rel. 43
- hkl 0 1 1, 2θ 16.9, d = 5.241 Å, rel. 22
- hkl 2 0 1, 2θ 17.6, d = 5.027 Å, rel. 100
- hkl 0 2 0, 2θ 23.9, d = 3.722 Å, rel. 45
- hkl 4 0 0, 2θ 26.0, d = 3.433 Å, rel. 24
- hkl 2 2 1, 2θ 29.9, d = 2.991 Å, rel. 26
- hkl 2 1 2, 2θ 30.0, d = 2.979 Å, rel. 42
- hkl 2 3 2, 2θ 46.0, d = 1.972 Å, rel. 19
- hkl 4 1 3, 2θ 47.1, d = 1.931 Å, rel. 21
- hkl 6 1 2, 2θ 48.3, d = 1.883 Å, rel. 20

=====

[3]
This entry pairs a crystal structure of NiH3C5NO6 with its theoretical powder diffraction line list. Radiation: Cu Kα. Structure: the GGA+U geometry in the Materials Project.
No peak broadening, texture or thermal motion is included.

Atomic structure:
Unit cell a=13.571 b=7.836 c=8.613 alpha=90.00 beta=121.60 gamma=90.00
Space group Cc (No. 9)
One atom of each set of equivalent atoms:
1 Ni 0.000 0.250 0.000 [4 per cell]
2 H 0.049 0.049 0.748 [4 per cell]
3 H 0.251 0.350 0.252 [4 per cell]
4 H 0.450 0.050 0.750 [4 per cell]
5 C 0.021 0.480 0.750 [4 per cell]
6 C 0.183 0.236 0.580 [4 per cell]
7 C 0.251 0.209 0.250 [4 per cell]
8 C 0.295 0.240 0.920 [4 per cell]
9 C 0.479 0.479 0.750 [4 per cell]
10 N 0.239 0.238 0.750 [4 per cell]
11 O 0.060 0.345 0.846 [4 per cell]
12 O 0.061 0.465 0.156 [4 per cell]